Awww relationships! Its so great to have someone on your side that loves you, understands you, makes you feel significant, loved, and full of absolute joy 24 hours a day – right? The magnitude of how true that statement is for couples ranges.
Where does your relationship fall?
- Ummm that never happens!
- We have that! Except during football season.
- It was like that in the beginning but the honeymoon is over
- Yes – that’s us!

If your relationship isn’t thriving what you may be missing is a better understanding of what your partner needs and vice versa. I have learned a thing or two (or 100) from working for Tony Robbins who shares great advice on how to create thriving relationships. So lets jump right in with the top 3 things research has shown leads to a thriving relationship for both partners.
The top 3 things women want in relationships:
1 – To be seen
To be seen means that your partner is recognizing and expressing to you that he “see’s” when you are under stress, when you are working hard, when you are being a great mom or grandparent, when you are reaching your goals, etc.
This does not come naturally for men/male energies. They may notice what you are doing but more men/male energies do not think to express it.
2 – To be Understood / Listened to / Present
To be understood means that your partner is listening to you, as opposed to, fixing things for you. We also like it when our partner isn’t on their phone when we are complaining about our boss. Presence is very important!
3 – To feel safe in sharing their emotions.
To feel safe means that your partner is someone you can confide in without fear of being ignored or ridiculed. When women do not feel safe to share their emotions freely it can build up as resentment and be toxic for a woman’s self esteem.
~~~
Material: YZn2Sn2
Method: DFT, GGA-PBE
State: optimized geometry

a = 7.8800 Å, b = 7.8800 Å, c = 3.5925 Å
α = 90.00°, β = 90.00°, γ = 90.00°
Atoms (fractional coordinates):
Zn (0.3828, 0.8828, 0.0000)
Sn (0.3216, 0.1784, 0.5000)
Zn (0.6172, 0.1172, 0.0000)
Sn (0.8216, 0.3216, 0.5000)
Y (0.5000, 0.5000, 0.0000)
Y (0.0000, 0.0000, 0.0000)
Zn (0.1172, 0.3828, 0.0000)
Zn (0.8828, 0.6172, 0.0000)
Sn (0.6784, 0.8216, 0.5000)
Sn (0.1784, 0.6784, 0.5000)

* N(E_F): 2.44 states/eV/f.u.
* energy: -3.646 eV per atom
* total magnetization: 0.00 μB/atom
* E above lowest polymorph: 0.1165 eV/atom
* space group: P4/mbm (127)
* formation energy: -1.21 eV per formula unit

Material: Y3Zn4Sn2
Method: DFT, GGA-PBE
State: optimized geometry

a = 4.5279 Å, b = 5.9340 Å, c = 8.6310 Å
α = 109.41°, β = 90.00°, γ = 112.43°
Atoms (fractional coordinates):
Zn (0.2519, 0.5037, 0.9344)
Zn (0.0194, 0.0389, 0.3652)
Zn (0.9806, 0.9611, 0.6348)
Y (0.0000, 0.0000, 0.0000)
Sn (0.3855, 0.7710, 0.7222)
Zn (0.7481, 0.4963, 0.0656)
Y (0.6686, 0.3372, 0.6675)
Y (0.3314, 0.6628, 0.3325)
Sn (0.6145, 0.2290, 0.2778)

* N(E_F): 4.64 states/eV/f.u.
* energy: -4.143 eV per atom
* total magnetization: 0.00 μB/atom
* space group: C2/m (12)
* formation energy: -4.79 eV per formula unit

Material: YZn3Sn
Method: DFT, GGA-PBE
State: optimized geometry

a = 5.4155 Å, b = 5.4155 Å, c = 5.4155 Å
α = 90.00°, β = 90.00°, γ = 90.00°
Atoms (fractional coordinates):
Zn (0.5000, 0.0000, 0.0000)
Zn (0.0000, 0.5000, 0.0000)
Sn (0.5000, 0.5000, 0.5000)
Zn (0.0000, 0.0000, 0.5000)
Y (0.0000, 0.0000, 0.0000)

* N(E_F): 4.49 states/eV/f.u.
* energy: -2.040 eV per atom
* total magnetization: 0.00 μB/atom
* E above lowest polymorph: 0.4177 eV/atom
* space group: Pm-3m (221)
* formation energy: 4.09 eV per formula unit

Material: Y2ZnSn2
Method: DFT, GGA-PBE
State: optimized geometry

a = 4.6143 Å, b = 6.9230 Å, c = 8.5860 Å
α = 90.00°, β = 105.59°, γ = 90.00°
Atoms (fractional coordinates):
Y (0.7971, 0.4423, 0.5941)
Sn (0.1724, 0.4570, 0.3447)
Zn (0.4053, 0.0503, 0.8106)
Y (0.0096, 0.2248, 0.0192)
Y (0.2029, 0.9423, 0.4059)
Y (0.9904, 0.7248, 0.9808)
Zn (0.5947, 0.5503, 0.1894)
Sn (0.8276, 0.9570, 0.6553)
Sn (0.5737, 0.9600, 0.1474)
Sn (0.4263, 0.4600, 0.8526)

* N(E_F): 0.79 states/eV/f.u.
* energy: -5.023 eV per atom
* total magnetization: 0.00 μB/atom
* space group: Cmc2_1 (36)
* formation energy: -2.91 eV per formula unit

Material: YZn2Sn2
Method: DFT, GGA-PBE
State: optimized geometry

a = 8.1263 Å, b = 8.1263 Å, c = 3.4813 Å
α = 90.00°, β = 90.00°, γ = 90.00°
Atoms (fractional coordinates):
Y (0.0000, 0.0000, 0.0000)
Sn (0.1389, 0.3611, 0.0000)
Zn (0.3403, 0.1597, 0.5000)
Zn (0.8403, 0.3403, 0.5000)
Y (0.5000, 0.5000, 0.0000)
Zn (0.1597, 0.6597, 0.5000)
Sn (0.8611, 0.6389, 0.0000)
Sn (0.3611, 0.8611, 0.0000)
Zn (0.6597, 0.8403, 0.5000)
Sn (0.6389, 0.1389, 0.0000)

* N(E_F): 2.47 states/eV/f.u.
* energy: -3.518 eV per atom
* total magnetization: 0.00 μB/atom
* E above lowest polymorph: 0.2448 eV/atom
~~~
Coaching Tip for women: It may seem like common sense to you, but it isn’t. Men or male energies brains think differently. We must get better at asking for what we need and to let go of the “they should already know” mentality. The reality is – they don’t know! And if they know because you told them but aren’t following through – tell them again.
Now – let’s move to what is it that men/male energies need from their partners.
The top 3 things men want in relationships:
1 – To be appreciated (Not criticized)
To be appreciated means that you recognize what they are doing right instead of focusing and criticizing what they are doing wrong. When was the last time you told your partner how much you appreciate them for being dependable, working hard, providing for you, making you laugh, etc. Everyone will have an “appreciation” that fits their relationships. Men love that! Criticizing is emasculating. Men hate that.
2 – To be playful.
To be playful means that you are not too serious. That you show your fun side. That you laugh and smile in their presence.
3 – To not be controlled.
Masculine men are natural controllers (not in an abusive way). It comes from millions of years ago when men were tasked with being strong enough to hunt for food and to protect their village while women gathered berries. We have come a long way since then. However, men still have innate masculinity that makes them natural protectors and decision makers when they are allowed to do so.
Today women have jobs where they are in control at work, tapping into masculine energy. Sometimes women forget to shut it off when they come home and having their masculine energy meet their partners. When you have two male energies in control, it kills the passion in a relationship.
Per Tony Robbins – to have a good relationship you need things in common. But to have a passionate relationship you need things to be different. Meaning that you have different energies – one person living in the female energy (emotional, loving, soft) and a male energy (logical, protective, a fixer). Also, just because you are female doesn’t mean your energy is always feminine or because you are male that yours is masculine. You can have energies of the opposite gender.
Ultimately – the #1 the most important thing is communication. Ask your partner what they need more of or want less of. See where it falls when it comes to energies. I encourage you to talk about this blog with your partner so that you can start working towards that thriving relationship.
Your Life Coach – Traci